The reader should give back the block underneath from the first line to the one with "0.7558" verbatim.

/*
A relaxed structure of AgPdNO2. Source: Alexandria, functional PBE.

Cell and atoms, written as POSCAR:
```
AgPdNO2
1.0
4.177 0.000 0.000
0.000 4.177 0.000
0.000 0.000 3.698
Ag Pd N O
1 1 1 2
direct
0.000 0.000 0.000
0.500 0.500 0.500
0.500 0.500 0.000
0.000 0.500 0.500
0.500 0.000 0.500
```

Results
Total energy ... -22.082 eV per cell
Energy relative to the elements, uncorrected ... 4.20 eV per formula unit
SG ... P4/mmm, No. 123

~~~~~

Record 1
A relaxed structure of AcEr2Ti. Source: Alexandria, functional PBE.

## Properties
mass density: 8.093 g/cm3
spin magnetization: 0.4906 μB per atom
energy of formation from the pure elements: 546 meV/atom

Unit cell a=3.4722 b=3.4722 c=12.1420 alpha=81.78 beta=81.78 gamma=60.00
Last column: nearest neighbours and their distance in Å.
Positions (direct):
Er 0.0814 0.0814 0.7558  1 Ti 2.92
Er 0.9186 0.9186 0.2442  1 Ti 2.92
Ti 0.0000 0.0000 0.0000  2 Er 2.92
Ac 0.5000 0.5000 0.5000  6 Ac 3.47, 6 Er 3.66

=====

Record 2
A relaxed structure of Ac2ErTi. Source: Alexandria, functional PBE.

## Properties
mass density: 8.421 g/cm3
spin magnetization: 0.1751 μB per atom
energy of formation from the pure elements: 359 meV/atom

Unit cell a=3.7160 b=3.7160 c=11.2394 alpha=80.48 beta=80.48 gamma=60.00
Last column: nearest neighbours and their distance in Å.
Positions (direct):
Ac 0.2579 0.2579 0.2264  3 Ti 3.29
Ac 0.7421 0.7421 0.7736  3 Ti 3.29
Ti 0.0000 0.0000 0.0000  6 Ac 3.29
Er 0.5000 0.5000 0.5000  6 Ac 3.70, 6 Er 3.72

=====

Record 3
A relaxed structure of AcErTl2. Source: Alexandria, functional PBE.

## Properties
mass density: 10.113 g/cm3
spin magnetization: 0.0000 μB per atom
energy of formation from the pure elements: -209 meV/atom

Unit cell a=3.8994 b=3.8994 c=10.2628 alpha=79.05 beta=79.05 gamma=60.00
Last column: nearest neighbours and their distance in Å.
Positions (direct):
Tl 0.2569 0.2569 0.2294  3 Er 3.22, 3 Ac 3.52
Er 0.0000 0.0000 0.0000  6 Tl 3.22
Tl 0.7431 0.7431 0.7706  3 Er 3.22, 3 Ac 3.52
Ac 0.5000 0.5000 0.5000  6 Tl 3.52, 6 Ac 3.90

=====

Record 4
A relaxed structure of Ac2ErTl2. Source: Alexandria, functional PBE.

## Properties
energy above the most stable polymorph in this dataset: 0 meV per atom
mass density: 9.738 g/cm3
spin magnetization: 0.0000 μB per atom
energy of formation from the pure elements: -293 meV/atom

Unit cell a=8.3826 b=8.3826 c=9.9984 alpha=90.00 beta=90.00 gamma=90.00
Last column: nearest neighbours and their distance in Å.
Positions (direct):
Er 0.5000 0.5000 0.2497  4 Tl 3.28
Tl 0.6323 0.1323 0.7500  1 Tl 3.14, 2 Er 3.28, 2 Ac 3.43
Tl 0.6323 0.1323 0.2500  1 Tl 3.14, 2 Er 3.28, 2 Ac 3.43
Tl 0.3677 0.8677 0.2500  1 Tl 3.14, 2 Er 3.28, 2 Ac 3.43
Er 0.0000 0.0000 0.2503  4 Tl 3.28
Tl 0.1323 0.3677 0.7500  1 Tl 3.14, 2 Er 3.28, 2 Ac 3.43
Er 0.5000 0.5000 0.7503  4 Tl 3.28
Tl 0.3677 0.8677 0.7500  1 Tl 3.14, 2 Er 3.28, 2 Ac 3.43
Ac 0.8298 0.3302 0.5000  6 Tl 3.43-3.57
Ac 0.3298 0.1698 0.0000  6 Tl 3.43-3.57
Ac 0.1698 0.6702 0.0000  6 Tl 3.43-3.57
Er 0.0000 0.0000 0.7497  4 Tl 3.28
Ac 0.6702 0.8302 0.0000  6 Tl 3.43-3.57
Tl 0.1323 0.3677 0.2500  1 Tl 3.14, 2 Er 3.28, 2 Ac 3.43
Tl 0.8677 0.6323 0.2500  1 Tl 3.14, 2 Er 3.28, 2 Ac 3.43
Ac 0.3302 0.1702 0.5000  6 Tl 3.43-3.57
Tl 0.8677 0.6323 0.7500  1 Tl 3.14, 2 Er 3.28, 2 Ac 3.43
Ac 0.1702 0.6698 0.5000  6 Tl 3.43-3.57
Ac 0.6698 0.8298 0.5000  6 Tl 3.43-3.57
Ac 0.8302 0.3298 0.0000  6 Tl 3.43-3.57

=====

Which value of energy of formation from the pure elements does entry 3 give? -209 meV/atom

~~~~~

No. 1
Below is crystalline NaSi2OsPt at its relaxed geometry, with properties calculated at the GGA-PBE level.

Computed properties:
For the density of states at the Fermi level, the calculation gives 4.5 states/eV/cell. As for the raw formation energy: 2.130 eV/atom. As for the total energy: -18.8 eV for the cell shown. The volume is 18.41 A^3/atom. For the total magnetic moment, the calculation gives 0.0 μB per cell.

a = 4.546 Å, b = 4.546 Å, c = 4.454 Å
α = 90.00°, β = 90.00°, γ = 90.00°
*/

A relaxed structure of AgPdNO2. Source: Alexandria, functional PBE.

Cell and atoms, written as POSCAR:
```
AgPdNO2
1.0
4.177 0.000 0.000
0.000 4.177 0.000
0.000 0.000 3.698
Ag Pd N O
1 1 1 2
direct
0.000 0.000 0.000
0.500 0.500 0.500
0.500 0.500 0.000
0.000 0.500 0.500
0.500 0.000 0.500
```

Results
Total energy ... -22.082 eV per cell
Energy relative to the elements, uncorrected ... 4.20 eV per formula unit
SG ... P4/mmm, No. 123

~~~~~

Record 1
A relaxed structure of AcEr2Ti. Source: Alexandria, functional PBE.

## Properties
mass density: 8.093 g/cm3
spin magnetization: 0.4906 μB per atom
energy of formation from the pure elements: 546 meV/atom

Unit cell a=3.4722 b=3.4722 c=12.1420 alpha=81.78 beta=81.78 gamma=60.00
Last column: nearest neighbours and their distance in Å.
Positions (direct):
Er 0.0814 0.0814 0.7558  1 Ti 2.92